**Contents**
'''
(1)
{
  "formula": "C31H31BBaF5N12S",
  "method": "ωB97M-V with the def2-TZVPD basis set",
  "species": ["H", "H", "S", "C", "C", "N", "C", "C", "C", "H", "H", "C", "H", "H", "H", "N", "C", "C", "N", "C", "F", "H", "N", "H", "H", "C", "N", "C", "H", "C", "F", "H", "H", "C", "B", "F", "N", "C", "C", "C", "N", "H", "C", "N", "N", "C", "F", "N", "C", "H", "C", "H", "N", "Ba", "C", "C", "C", "C", "H", "C", "H", "H", "C", "H", "C", "H", "H", "H", "H", "H", "H", "F", "C", "N", "H", "C", "C", "H", "H", "H", "H", "C"],
  "xyz": [[-1.289194, 5.573022, -2.075465], [2.139834, -2.343148, -6.560794], [2.209023, 2.173161, 3.326562], [3.833990, 1.185337, 0.152122], [-0.395038, 5.051757, -1.737149], [-0.257568, -0.853618, -0.961407], [-1.997331, -2.342460, -1.297490], [0.979755, -5.036642, 2.307452], [0.294794, -2.390018, 1.791354], [-2.527195, -3.144023, -1.784567], [0.235267, -4.682024, 4.287552], [2.753218, -1.826381, -3.919801], [1.308374, -0.794679, -6.725454], [-4.894950, -0.795111, -1.230897], [-4.836027, 1.649923, -1.642726], [0.273697, 2.702404, -1.487860], [-2.057188, 0.181148, 0.340232], [-2.286532, -1.915469, 0.081543], [1.826821, 0.594894, -0.565594], [-0.769385, 1.685196, -3.149349], [-3.108420, 2.751688, 2.805602], [4.743427, 1.730882, 0.336879], [-0.979344, -0.825839, 0.299327], [3.760176, -1.877986, 1.740472], [-1.019844, 0.852541, -3.781776], [-4.155203, -0.159318, -0.764323], [1.417423, -0.506508, -2.766665], [-3.091236, 1.994684, -0.439903], [3.576925, -2.453220, -4.215341], [1.667535, -1.395121, -4.703880], [-1.283815, 5.725586, 3.240974], [3.123588, -1.283359, -1.781139], [1.255666, -0.282520, 5.698925], [0.412991, -4.259232, 3.307182], [0.748412, 0.223965, -1.585371], [-1.432466, 4.006006, 4.558590], [1.668127, 0.526179, 5.268585], [1.395153, 0.781275, 3.961151], [-2.240309, 3.771473, 2.365980], [-0.425624, 3.616914, -2.151416], [0.053098, 0.052388, 2.211639], [-1.774277, -3.807605, 1.011653], [-3.227671, -0.706087, 0.279073], [0.062961, 1.512788, -2.103547], [0.865464, -0.610763, -3.997657], [2.547644, -1.244816, -2.690975], [-3.044293, 4.527668, 1.482457], [-1.967675, 1.418549, 0.059464], [-0.935173, -1.713169, -1.799846], [-3.751694, -0.792640, 1.243595], [2.812422, 1.530835, -0.686475], [-0.355276, 5.166650, -0.651191], [2.239711, -0.389231, 0.284219], [0.120033, 2.663039, 1.260510], [0.880296, -3.167763, 0.793828], [4.105505, -0.845866, 1.788102], [-0.144896, -1.005275, 1.521761], [-2.492810, -2.998032, 1.102950], [1.244438, -6.066678, 2.508881], [1.215991, -4.486912, 1.055418], [1.089951, -2.729311, -0.170248], [-2.499147, -2.609787, 2.120183], [-1.112282, 3.019906, -3.217235], [3.862140, -0.446607, 2.775339], [-4.107832, 1.176204, -0.998417], [5.189139, -0.824179, 1.676360], [-3.494588, -3.391131, 0.898919], [2.307729, 1.113475, 5.768007], [-0.526626, -1.844704, -2.789267], [2.701350, 2.363524, -1.358032], [-1.751448, 3.498804, -3.938738], [-3.190472, 5.185776, 4.111279], [0.074899, -2.940292, 3.054709], [0.627442, -0.156377, 3.435949], [-0.361502, -2.324559, 3.826224], [-2.069056, 4.673114, 3.575174], [1.366145, -1.707721, -6.132812], [0.470751, 5.567073, -2.155502], [1.672879, -5.084534, 0.277260], [-3.118179, 3.071984, -0.488109], [0.411422, -2.226475, -6.227114], [3.425957, -0.032623, 0.740094]],
'''

**Brief**
Could you restate all of the material further above with every line break kept?

**Completed**
(1)
{
  "formula": "C31H31BBaF5N12S",
  "method": "ωB97M-V with the def2-TZVPD basis set",
  "species": ["H", "H", "S", "C", "C", "N", "C", "C", "C", "H", "H", "C", "H", "H", "H", "N", "C", "C", "N", "C", "F", "H", "N", "H", "H", "C", "N", "C", "H", "C", "F", "H", "H", "C", "B", "F", "N", "C", "C", "C", "N", "H", "C", "N", "N", "C", "F", "N", "C", "H", "C", "H", "N", "Ba", "C", "C", "C", "C", "H", "C", "H", "H", "C", "H", "C", "H", "H", "H", "H", "H", "H", "F", "C", "N", "H", "C", "C", "H", "H", "H", "H", "C"],
  "xyz": [[-1.289194, 5.573022, -2.075465], [2.139834, -2.343148, -6.560794], [2.209023, 2.173161, 3.326562], [3.833990, 1.185337, 0.152122], [-0.395038, 5.051757, -1.737149], [-0.257568, -0.853618, -0.961407], [-1.997331, -2.342460, -1.297490], [0.979755, -5.036642, 2.307452], [0.294794, -2.390018, 1.791354], [-2.527195, -3.144023, -1.784567], [0.235267, -4.682024, 4.287552], [2.753218, -1.826381, -3.919801], [1.308374, -0.794679, -6.725454], [-4.894950, -0.795111, -1.230897], [-4.836027, 1.649923, -1.642726], [0.273697, 2.702404, -1.487860], [-2.057188, 0.181148, 0.340232], [-2.286532, -1.915469, 0.081543], [1.826821, 0.594894, -0.565594], [-0.769385, 1.685196, -3.149349], [-3.108420, 2.751688, 2.805602], [4.743427, 1.730882, 0.336879], [-0.979344, -0.825839, 0.299327], [3.760176, -1.877986, 1.740472], [-1.019844, 0.852541, -3.781776], [-4.155203, -0.159318, -0.764323], [1.417423, -0.506508, -2.766665], [-3.091236, 1.994684, -0.439903], [3.576925, -2.453220, -4.215341], [1.667535, -1.395121, -4.703880], [-1.283815, 5.725586, 3.240974], [3.123588, -1.283359, -1.781139], [1.255666, -0.282520, 5.698925], [0.412991, -4.259232, 3.307182], [0.748412, 0.223965, -1.585371], [-1.432466, 4.006006, 4.558590], [1.668127, 0.526179, 5.268585], [1.395153, 0.781275, 3.961151], [-2.240309, 3.771473, 2.365980], [-0.425624, 3.616914, -2.151416], [0.053098, 0.052388, 2.211639], [-1.774277, -3.807605, 1.011653], [-3.227671, -0.706087, 0.279073], [0.062961, 1.512788, -2.103547], [0.865464, -0.610763, -3.997657], [2.547644, -1.244816, -2.690975], [-3.044293, 4.527668, 1.482457], [-1.967675, 1.418549, 0.059464], [-0.935173, -1.713169, -1.799846], [-3.751694, -0.792640, 1.243595], [2.812422, 1.530835, -0.686475], [-0.355276, 5.166650, -0.651191], [2.239711, -0.389231, 0.284219], [0.120033, 2.663039, 1.260510], [0.880296, -3.167763, 0.793828], [4.105505, -0.845866, 1.788102], [-0.144896, -1.005275, 1.521761], [-2.492810, -2.998032, 1.102950], [1.244438, -6.066678, 2.508881], [1.215991, -4.486912, 1.055418], [1.089951, -2.729311, -0.170248], [-2.499147, -2.609787, 2.120183], [-1.112282, 3.019906, -3.217235], [3.862140, -0.446607, 2.775339], [-4.107832, 1.176204, -0.998417], [5.189139, -0.824179, 1.676360], [-3.494588, -3.391131, 0.898919], [2.307729, 1.113475, 5.768007], [-0.526626, -1.844704, -2.789267], [2.701350, 2.363524, -1.358032], [-1.751448, 3.498804, -3.938738], [-3.190472, 5.185776, 4.111279], [0.074899, -2.940292, 3.054709], [0.627442, -0.156377, 3.435949], [-0.361502, -2.324559, 3.826224], [-2.069056, 4.673114, 3.575174], [1.366145, -1.707721, -6.132812], [0.470751, 5.567073, -2.155502], [1.672879, -5.084534, 0.277260], [-3.118179, 3.071984, -0.488109], [0.411422, -2.226475, -6.227114], [3.425957, -0.032623, 0.740094]],